== Assignment ==
Next, copy all of the material below exactly.

== Listing ==
********
Below is crystalline Sr6Ag3Br14 at its relaxed geometry, with properties calculated at the PBE-GGA level.

abc: 7.270 10.784 10.784
angles: 120.00 90.00 90.00
Each line ends with the local moment (μB).
Fractional positions:
Sr  0.762  0.484  0.522  0.01
Sr  0.762  0.037  0.516  0.01
Sr  0.267  0.847  0.148  0.01
Sr  0.267  0.300  0.153  0.01
Sr  0.762  0.478  0.963  0.01
Sr  0.267  0.852  0.700  0.01
Br  0.519  0.203  0.792  0.00
Br  0.957  0.333  0.667  0.00
Br  0.519  0.589  0.797  0.00
Br  0.027  0.745  0.870  0.00
Br  0.027  0.126  0.255  0.00
Br  0.462  0.000  0.000  0.00
Br  0.692  0.390  0.196  0.03
Br  0.692  0.806  0.610  0.03
Br  0.162  0.535  0.467  0.02
Br  0.162  0.533  0.069  0.02
Br  0.692  0.804  0.194  0.03
Br  0.027  0.130  0.874  0.00
Br  0.162  0.931  0.465  0.02
********

== Worked solution ==
Below is crystalline Sr6Ag3Br14 at its relaxed geometry, with properties calculated at the PBE-GGA level.

abc: 7.270 10.784 10.784
angles: 120.00 90.00 90.00
Each line ends with the local moment (μB).
Fractional positions:
Sr  0.762  0.484  0.522  0.01
Sr  0.762  0.037  0.516  0.01
Sr  0.267  0.847  0.148  0.01
Sr  0.267  0.300  0.153  0.01
Sr  0.762  0.478  0.963  0.01
Sr  0.267  0.852  0.700  0.01
Br  0.519  0.203  0.792  0.00
Br  0.957  0.333  0.667  0.00
Br  0.519  0.589  0.797  0.00
Br  0.027  0.745  0.870  0.00
Br  0.027  0.126  0.255  0.00
Br  0.462  0.000  0.000  0.00
Br  0.692  0.390  0.196  0.03
Br  0.692  0.806  0.610  0.03
Br  0.162  0.535  0.467  0.02
Br  0.162  0.533  0.069  0.02
Br  0.692  0.804  0.194  0.03
Br  0.027  0.130  0.874  0.00
Br  0.162  0.931  0.465  0.02